To do:
Next, reproduce all of the listing below with every line break kept.
Excerpt:
........
Entry 1:
For Tb2Pr8Y, DFT lattice parameters and positions (GGA-PBE) gives the theoretical X-ray powder pattern in this record (Cu Kα X-rays).
Kinematic intensities with the Lorentz-polarization factor, no thermal factor.

Structure:
```
11
Lattice="8.519 -3.447 0.000 8.519 3.447 0.000 -1.214 0.000 6.666" Properties=species:S:1:pos:R:3 pbc="T T T"
Tb 2.965 0.000 2.061
Tb 12.858 0.000 4.605
Pr 6.925 1.641 0.620
Pr 3.163 0.000 5.469
Pr 8.899 1.641 6.046
Pr 6.195 0.000 3.888
Pr 9.629 0.000 2.778
Pr 6.925 -1.641 0.620
Pr 12.660 0.000 1.197
Pr 8.899 -1.641 6.046
Y -0.607 0.000 3.333
```

Main lines, sorted by position (10° ≤ 2θ ≤ 90°):
- 2θ = 27.99°, d = 3.188 Å, I 29
- 2θ = 29.17°, d = 3.062 Å, I 47
- 2θ = 29.63°, d = 3.015 Å, I 43
- 2θ = 30.57°, d = 2.925 Å, I 100
- 2θ = 31.49°, d = 2.841 Å, I 54
- 2θ = 31.93°, d = 2.803 Å, I 58
- 2θ = 32.04°, d = 2.794 Å, I 22
- 2θ = 56.92°, d = 1.618 Å, I 18
- 2θ = 61.32°, d = 1.512 Å, I 18
- 2θ = 62.57°, d = 1.485 Å, I 18


Entry 2:
For Tb7PrY2, DFT lattice parameters and positions (GGA-PBE) gives the theoretical X-ray powder pattern in this record (Cu Kα X-rays).
Kinematic intensities with the Lorentz-polarization factor, no thermal factor.

Structure:
```
10
Lattice="6.193 0.000 0.000 2.059 6.857 0.000 2.064 1.245 7.623" Properties=species:S:1:pos:R:3 pbc="T T T"
Tb 0.000 0.000 0.000
Tb 4.123 6.240 4.571
Tb 3.095 0.931 1.526
Tb 4.127 4.365 1.528
Tb 6.188 3.736 6.095
Tb 7.220 7.171 6.096
Tb 6.192 1.861 3.051
Pr 1.029 3.429 0.000
Y 3.101 2.795 4.566
Y 7.214 5.306 3.057
```

Main lines, sorted by position (10° ≤ 2θ ≤ 90°):
- 2θ = 30.61°, d = 2.921 Å, I 100
- 2θ = 35.49°, d = 2.530 Å, I 51
- 2θ = 51.06°, d = 1.789 Å, I 36
- 2θ = 60.66°, d = 1.527 Å, I 11
- 2θ = 60.73°, d = 1.525 Å, I 32
- 2θ = 63.71°, d = 1.461 Å, I 9
- 2θ = 83.18°, d = 1.161 Å, I 6
- 2θ = 83.28°, d = 1.160 Å, I 12
- 2θ = 85.87°, d = 1.132 Å, I 8
- 2θ = 85.97°, d = 1.131 Å, I 8


Entry 3:
For Tb6Pr2Y3, DFT lattice parameters and positions (GGA-PBE) gives the theoretical X-ray powder pattern in this record (Cu Kα X-rays).
Kinematic intensities with the Lorentz-polarization factor, no thermal factor.

Structure:
```
11
Lattice="-2.389 2.389 16.695 2.389 -2.389 16.695 2.389 2.389 -16.695" Properties=species:S:1:pos:R:3 pbc="T T T"
Tb 2.389 0.000 4.058
Tb 0.000 0.000 6.472
Tb 2.389 0.000 12.637
Tb 0.000 2.389 4.058
Tb 0.000 0.000 26.919
Tb 0.000 2.389 12.637
Pr 0.000 0.000 1.546
Pr 0.000 0.000 31.844
Y 0.000 0.000 9.926
Y 0.000 0.000 16.695
Y 0.000 0.000 23.465
```

Main lines, sorted by position (10° ≤ 2θ ≤ 90°):
- 2θ = 10.60°, d = 8.348 Å, I 24
- 2θ = 28.50°, d = 3.131 Å, I 100
- 2θ = 32.17°, d = 2.783 Å, I 24
- 2θ = 34.15°, d = 2.626 Å, I 92
- 2θ = 37.66°, d = 2.389 Å, I 60
- 2θ = 50.35°, d = 1.812 Å, I 28
- 2θ = 54.32°, d = 1.689 Å, I 22
- 2θ = 62.01°, d = 1.497 Å, I 21
- 2θ = 62.48°, d = 1.487 Å, I 22
- 2θ = 65.74°, d = 1.421 Å, I 28


Entry 4:
For Tb6PrY2, DFT lattice parameters and positions (GGA-PBE) gives the theoretical X-ray powder pattern in this record (Cu Kα X-rays).
Kinematic intensities with the Lorentz-polarization factor, no thermal factor.

Structure:
```
9
Lattice="7.431 0.000 0.000 -3.715 6.435 0.000 0.000 0.000 6.156" Properties=species:S:1:pos:R:3 pbc="T T T"
Tb 0.000 2.411 1.836
Tb -1.628 5.230 1.836
Tb 2.088 1.205 4.320
Tb 1.628 5.230 1.836
Tb 5.343 1.205 4.320
Tb 3.715 4.024 4.320
Pr 0.000 0.000 0.000
Y 0.000 4.290 4.872
Y 3.715 2.145 1.284
```

Main lines, sorted by position (10° ≤ 2θ ≤ 90°):
- 2θ = 19.96°, d = 4.448 Å, I 17
- 2θ = 27.73°, d = 3.218 Å, I 13
- 2θ = 29.01°, d = 3.078 Å, I 15
- 2θ = 31.37°, d = 2.852 Å, I 100
- 2θ = 32.24°, d = 2.777 Å, I 14
- 2θ = 36.96°, d = 2.432 Å, I 16
- 2θ = 40.56°, d = 2.224 Å, I 28
- 2θ = 44.74°, d = 2.026 Å, I 13
- 2θ = 49.04°, d = 1.858 Å, I 20
- 2θ = 59.38°, d = 1.556 Å, I 12


Entry 5:
For Tb3Pr2Y4, DFT lattice parameters and positions (GGA-PBE) gives the theoretical X-ray powder pattern in this record (Cu Kα X-rays).
........
Response:
Entry 1:
For Tb2Pr8Y, DFT lattice parameters and positions (GGA-PBE) gives the theoretical X-ray powder pattern in this record (Cu Kα X-rays).
Kinematic intensities with the Lorentz-polarization factor, no thermal factor.

Structure:
```
11
Lattice="8.519 -3.447 0.000 8.519 3.447 0.000 -1.214 0.000 6.666" Properties=species:S:1:pos:R:3 pbc="T T T"
Tb 2.965 0.000 2.061
Tb 12.858 0.000 4.605
Pr 6.925 1.641 0.620
Pr 3.163 0.000 5.469
Pr 8.899 1.641 6.046
Pr 6.195 0.000 3.888
Pr 9.629 0.000 2.778
Pr 6.925 -1.641 0.620
Pr 12.660 0.000 1.197
Pr 8.899 -1.641 6.046
Y -0.607 0.000 3.333
```

Main lines, sorted by position (10° ≤ 2θ ≤ 90°):
- 2θ = 27.99°, d = 3.188 Å, I 29
- 2θ = 29.17°, d = 3.062 Å, I 47
- 2θ = 29.63°, d = 3.015 Å, I 43
- 2θ = 30.57°, d = 2.925 Å, I 100
- 2θ = 31.49°, d = 2.841 Å, I 54
- 2θ = 31.93°, d = 2.803 Å, I 58
- 2θ = 32.04°, d = 2.794 Å, I 22
- 2θ = 56.92°, d = 1.618 Å, I 18
- 2θ = 61.32°, d = 1.512 Å, I 18
- 2θ = 62.57°, d = 1.485 Å, I 18


Entry 2:
For Tb7PrY2, DFT lattice parameters and positions (GGA-PBE) gives the theoretical X-ray powder pattern in this record (Cu Kα X-rays).
Kinematic intensities with the Lorentz-polarization factor, no thermal factor.

Structure:
```
10
Lattice="6.193 0.000 0.000 2.059 6.857 0.000 2.064 1.245 7.623" Properties=species:S:1:pos:R:3 pbc="T T T"
Tb 0.000 0.000 0.000
Tb 4.123 6.240 4.571
Tb 3.095 0.931 1.526
Tb 4.127 4.365 1.528
Tb 6.188 3.736 6.095
Tb 7.220 7.171 6.096
Tb 6.192 1.861 3.051
Pr 1.029 3.429 0.000
Y 3.101 2.795 4.566
Y 7.214 5.306 3.057
```

Main lines, sorted by position (10° ≤ 2θ ≤ 90°):
- 2θ = 30.61°, d = 2.921 Å, I 100
- 2θ = 35.49°, d = 2.530 Å, I 51
- 2θ = 51.06°, d = 1.789 Å, I 36
- 2θ = 60.66°, d = 1.527 Å, I 11
- 2θ = 60.73°, d = 1.525 Å, I 32
- 2θ = 63.71°, d = 1.461 Å, I 9
- 2θ = 83.18°, d = 1.161 Å, I 6
- 2θ = 83.28°, d = 1.160 Å, I 12
- 2θ = 85.87°, d = 1.132 Å, I 8
- 2θ = 85.97°, d = 1.131 Å, I 8


Entry 3:
For Tb6Pr2Y3, DFT lattice parameters and positions (GGA-PBE) gives the theoretical X-ray powder pattern in this record (Cu Kα X-rays).
Kinematic intensities with the Lorentz-polarization factor, no thermal factor.

Structure:
```
11
Lattice="-2.389 2.389 16.695 2.389 -2.389 16.695 2.389 2.389 -16.695" Properties=species:S:1:pos:R:3 pbc="T T T"
Tb 2.389 0.000 4.058
Tb 0.000 0.000 6.472
Tb 2.389 0.000 12.637
Tb 0.000 2.389 4.058
Tb 0.000 0.000 26.919
Tb 0.000 2.389 12.637
Pr 0.000 0.000 1.546
Pr 0.000 0.000 31.844
Y 0.000 0.000 9.926
Y 0.000 0.000 16.695
Y 0.000 0.000 23.465
```

Main lines, sorted by position (10° ≤ 2θ ≤ 90°):
- 2θ = 10.60°, d = 8.348 Å, I 24
- 2θ = 28.50°, d = 3.131 Å, I 100
- 2θ = 32.17°, d = 2.783 Å, I 24
- 2θ = 34.15°, d = 2.626 Å, I 92
- 2θ = 37.66°, d = 2.389 Å, I 60
- 2θ = 50.35°, d = 1.812 Å, I 28
- 2θ = 54.32°, d = 1.689 Å, I 22
- 2θ = 62.01°, d = 1.497 Å, I 21
- 2θ = 62.48°, d = 1.487 Å, I 22
- 2θ = 65.74°, d = 1.421 Å, I 28


Entry 4:
For Tb6PrY2, DFT lattice parameters and positions (GGA-PBE) gives the theoretical X-ray powder pattern in this record (Cu Kα X-rays).
Kinematic intensities with the Lorentz-polarization factor, no thermal factor.

Structure:
```
9
Lattice="7.431 0.000 0.000 -3.715 6.435 0.000 0.000 0.000 6.156" Properties=species:S:1:pos:R:3 pbc="T T T"
Tb 0.000 2.411 1.836
Tb -1.628 5.230 1.836
Tb 2.088 1.205 4.320
Tb 1.628 5.230 1.836
Tb 5.343 1.205 4.320
Tb 3.715 4.024 4.320
Pr 0.000 0.000 0.000
Y 0.000 4.290 4.872
Y 3.715 2.145 1.284
```

Main lines, sorted by position (10° ≤ 2θ ≤ 90°):
- 2θ = 19.96°, d = 4.448 Å, I 17
- 2θ = 27.73°, d = 3.218 Å, I 13
- 2θ = 29.01°, d = 3.078 Å, I 15
- 2θ = 31.37°, d = 2.852 Å, I 100
- 2θ = 32.24°, d = 2.777 Å, I 14
- 2θ = 36.96°, d = 2.432 Å, I 16
- 2θ = 40.56°, d = 2.224 Å, I 28
- 2θ = 44.74°, d = 2.026 Å, I 13
- 2θ = 49.04°, d = 1.858 Å, I 20
- 2θ = 59.38°, d = 1.556 Å, I 12


Entry 5:
For Tb3Pr2Y4, DFT lattice parameters and positions (GGA-PBE) gives the theoretical X-ray powder pattern in this record (Cu Kα X-rays).